Country Info Area

All the information on countries and cities used in your database is stored in the Country info area and in the City info area.

Each country is added to the Country catalog when it is added to the database for the first time, see Catalogs.

Cities are linked to countries using the language catalog:

The Maintenance module is used to maintain these links, which result in automatic entries in the database whenever new records are added.

Adding a New Country

Use the Country info area to store country details.

To add a new country:

  1. Start the Maintenance module, see Starting Modules in the Aurea CRM win Administrator Guide.
  2. Switch to the Country info area.

  3. Click (New).
  4. Enter the name of the country in the Country field or select an entry from the country catalog.
  5. Enter the number of digits in the post code that should be compared when matching up addresses in the Match-up Length field, see Match-up in the Aurea CRM win Administrator Guide.

    For example, in Austria postal codes are made up of four digits, with the first three defining the federal province and the area, and the last digit specifying the post office. In this case, the Match-up Length is "3". In Germany, postal codes are five digits (starting with a zero) so "5" should be entered.

  6. Select ViewAll Mask Fields from the menu. Enter the language for the country in the Language field.

    Each country is also linked to its own catalog of academic titles, see Title Catalogs.

  7. Enter further information on the country (for details on the individual fields, refer to the field help).
  8. Save the record.

If this country is now entered when adding a new record (e.g. companies, persons, additional addresses, properties (BTB only)), the international dialing code (Country Code field) and Label (for companies and persons) are transferred automatically from the country table. Subsequent changes to records in the Country info area are not automatically propagated.

You can add an entry to the Configuration info area which prevents fields from the country table being transferred to other info areas, see Country Table.

If a new country is entered while adding a record, the new country is automatically added to the Country info area, see Adding a New Country (Aurea CRM win Main Module).

Cities (Context Menu)

<<<
The following is a DFT calculation (ωB97M-V/def2-TZVPD) of the ion CH4N3 with charge +1.

Each line ends with the natural charge from an NBO analysis.
Atoms and positions in Å:
C1 0.321 0.310 -0.508  0.428
N1 -1.984 0.495 0.075  -0.284
N2 -0.928 -0.090 -0.202  -0.227
N3 1.544 0.425 0.025  -0.650
H1 -2.884 0.046 -0.024  0.394
H2 -0.932 -0.943 -0.824  0.441
H3 1.557 0.463 1.034  0.432
H4 2.372 0.503 -0.555  0.466

The net charge is +1. For the HOMO energy (alpha / beta), the calculation gives -14.9 / -14.9 eV.



The following is a DFT calculation (ωB97M-V/def2-TZVPD) of a cluster of 2 separate species, CH4N3 in total.

Each line ends with the natural charge from an NBO analysis.
Atoms and positions in Å:
C1 -1.286 0.468 0.187  0.484
N1 2.419 -0.191 -0.009  -0.155
N2 1.408 0.459 0.023  -0.178
N3 -2.291 -0.199 -0.065  -0.878
H1 3.386 0.124 -0.365  0.380
H2 1.110 1.530 0.119  0.399
H3 -2.498 -1.104 0.212  0.459
H4 -3.174 0.117 -0.647  0.488

The net charge is +1. For the HOMO energy (alpha / beta), the calculation gives -14.1 / -12.5 eV.



The following is a DFT calculation (ωB97M-V/def2-TZVPD) of a structure of composition CH4N3O.

Each line ends with the natural charge from an NBO analysis.
Atoms and positions in Å:
C1 1.159 -0.617 0.018  -0.469
N1 -1.849 1.451 -0.027  -0.550
N2 0.665 0.633 -0.067  -0.621
N3 -1.224 0.391 -0.089  0.380
O1 -1.668 -0.722 -0.145  -0.498
H1 1.865 -0.889 0.929  0.102
H2 1.762 -0.981 -0.932  0.090
H3 0.327 -1.389 0.120  0.229
H4 -1.038 2.123 0.194  0.337

The net charge is -1. For the HOMO energy, the calculation gives -2.4 eV.



Values for strongest force on any atom, eV Å⁻¹, ordered as above
>>>

Every city entered in the City info area is linked to a country using the Country catalog.

To display all cities in a specific country:

  1. Select the country in the Country info area.
  2. Select Cities from the context menu.

    All the currently available cities in this country are displayed.

Conditions defined for the City info area are not applied when switching to this view. Either define a new condition or click (Find) to search for the desired city.

Adding a New Country (Aurea CRM win Main Module)

New countries can be added from the Aurea CRM win main module in the Company, Person, Person in Company, Additional Addresses and Property (BTB only) info areas.

To add a new country from the Aurea CRM win main module:

  1. Add a new record, e.g. a company.
  2. Enter a country not yet present in the Country info area in the Country field.
  3. Save the record.

    The country is added to the Country info area.

If a company or person was added, the following information is also transferred to the Country info area:




Country Code

Country Code

Country Code




Subsequent changes to the data in the Aurea CRM win main module are not automatically transferred to the Country info area.

Someone pasted data records at this point:
+++
No. 1
{"formula": "C3H10N2S", "method": "the ωB97M-V functional and the def2-TZVPD basis", "de_lowest_kj_mol": 51.45, "e_lumo_ev": 0.994, "homo_ha": -0.3201, "spin_multiplicity": 1, "smiles": "NCNCCS", "homo_lumo_gap_ev": 9.7029, "symbols": ["C", "C", "S", "N", "C", "N", "H", "H", "H", "H", "H", "H", "H", "H", "H", "H"], "coordinates": [[-0.6210, 0.4486, -0.2374], [-1.7402, 0.8267, 0.7482], [-3.0163, 1.8309, -0.0280], [0.5137, -0.0866, 0.4667], [1.6643, -0.5456, -0.2698], [1.8632, -1.9889, -0.0680], [-0.3119, 1.3858, -0.7218], [-0.9804, -0.1598, -1.0827], [-2.1927, -0.1123, 1.0689], [-1.2406, 1.2672, 1.6011], [-2.2311, 2.9042, -0.1463], [0.2214, -0.7867, 1.1290], [2.5422, 0.0428, -0.0016], [1.5021, -0.3472, -1.3396], [2.7903, -2.2007, -0.4152], [1.2369, -2.4784, -0.7035]], "mulliken_charge": [-0.442, -0.750, -0.212, -0.314, -0.404, -0.668, 0.291, 0.306, 0.339, 0.395, 0.114, 0.246, 0.352, 0.278, 0.250, 0.219]}



No. 2
+++

You can prevent new countries from being added from the Aurea CRM win main module by configuring the data model appropriately, see Mapping.

Note: Aurea recommends adding new countries from the Country info area. A country that has been added from the Country info area is always available from the country catalog. An entry in the Country catalog does not however mean that the country is automatically available in the Country info area. If you enter a new country in a record, but then do not save the record, the new country is added to the country catalog but not to the Country info area.